# Entries
........
1.
H26O13 | ωB97M-V/def2-TZVPD

Structure (XYZ):
```
39
Properties=species:S:1:pos:R:3
O -2.95 -4.06 0.56
O 4.00 2.47 -1.96
O 3.19 3.30 1.19
O 2.61 -0.72 2.14
O -4.48 -0.21 0.68
O -0.02 4.62 1.00
O 1.59 -1.30 -1.62
O 3.75 -3.09 -0.29
O 0.49 -4.42 -0.79
O -4.17 3.73 -1.70
O -2.58 -0.40 -1.07
O -0.21 -0.02 -0.32
O -1.11 0.21 2.01
H -4.87 -0.14 1.56
H -3.32 -3.55 -0.17
H 3.78 3.57 0.48
H 0.55 0.06 0.26
H -0.37 5.18 0.30
H -2.70 -3.38 1.20
H 2.94 2.39 0.96
H 3.22 -0.88 2.88
H -2.15 -0.42 -1.93
H -3.97 -1.03 0.72
H -3.35 3.42 -2.12
H -1.25 -0.56 1.44
H 0.38 -4.58 0.15
H -3.87 4.30 -0.99
H 3.48 2.52 -1.15
H -0.79 4.13 1.31
H -1.48 -0.06 2.85
H 0.98 -0.75 -1.13
H 4.03 1.53 -2.16
H -0.41 -4.29 -1.11
H 2.79 -3.16 -0.31
H 4.06 -3.98 -0.53
H 2.44 -0.85 -1.54
H 3.09 -1.05 1.37
H -0.92 0.44 0.14
H -3.13 0.39 -1.09
```

Values from the calculation:
- Frontier orbital gap: 10.650 eV
- ΔE to the lowest compared entry with this formula, charge and spin: 78.9 kcal per mole
- E_HOMO: -10.95 eV
- LUMO: -0.3 eV

Results of the Mulliken charge analysis, in e, for atoms 1 through 2:
1. O -0.61
2. O -0.61

=====

2.
C7H12N2O3S | ωB97M-V/def2-TZVPD

Structure (XYZ):
```
25
Properties=species:S:1:pos:R:3
S -1.99 1.31 -0.13
O -2.41 1.30 1.25
O -2.96 0.93 -1.13
O -1.00 2.29 -0.54
N -1.54 -1.39 0.03
N 0.43 -0.56 -0.54
C -2.91 -1.50 0.35
C 1.37 0.53 -0.78
C 2.22 0.75 0.53
C 0.57 -1.95 -0.63
C 2.81 2.14 0.62
C -0.94 -0.25 -0.19
C -0.65 -2.43 -0.30
H 2.02 0.17 -1.47
H 3.04 0.01 0.48
H 0.74 1.38 -0.86
H -3.27 -0.66 0.94
H 3.43 2.28 1.51
H 3.52 2.23 -0.22
H -3.65 -1.76 -0.51
H 1.43 -2.49 -0.88
H 2.01 2.97 0.61
H -3.02 -2.44 0.97
H 1.56 0.65 1.29
H -0.81 -3.54 -0.40
```

Values from the calculation:
- Frontier orbital gap: 10.435 eV
- ΔE to the lowest compared entry with this formula, charge and spin: 49.3 kcal per mole
- E_HOMO: -9.91 eV
- LUMO: 0.5 eV

Results of the Mulliken charge analysis, in e, for atoms 1 through 2:
1. S 1.16
2. O -0.62

=====

3.
C6H10O | ωB97M-V/def2-TZVPD

Structure (XYZ):
```
17
Properties=species:S:1:pos:R:3
O -1.01 1.50 1.14
C -0.68 0.37 -1.18
C 0.46 -0.06 -0.20
C -1.20 -1.42 1.11
C 0.00 -1.27 0.55
C 1.97 0.03 -0.42
C -0.28 1.23 -0.02
H 0.30 2.08 -0.37
H -1.56 -2.38 1.46
H -0.60 0.82 -2.16
H 2.24 0.61 -1.31
H -1.79 1.99 0.88
H 2.43 -0.96 -0.53
H -1.87 -0.57 1.22
H 2.45 0.51 0.44
H -1.51 -0.34 -1.10
H 0.67 -2.13 0.49
```

Values from the calculation:
- Frontier orbital gap: 9.881 eV
- ΔE to the lowest compared entry with this formula, charge and spin: 38.9 kcal per mole
- E_HOMO: -8.98 eV
- LUMO: 0.9 eV

Results of the Mulliken charge analysis, in e, for atoms 1 through 2:
1. O -0.52
2. C -1.04

=====

4.
C4H13N3O | ωB97M-V/def2-TZVPD

Structure (XYZ):
```
21
Properties=species:S:1:pos:R:3
O -0.20 0.08 0.01
N -0.10 0.01 2.79
N 0.92 1.82 1.74
N -1.36 -2.26 -2.64
C -0.43 -0.32 -1.31
C -1.15 -1.72 -1.28
C 0.66 0.49 1.77
C 1.61 2.26 0.49
H -0.52 -2.50 -3.14
H -2.14 -1.65 -0.73
H -0.83 0.70 2.96
H 1.37 -0.24 1.36
H 0.92 2.50 -0.35
H -0.45 -0.85 2.41
H -1.01 0.39 -1.89
H -2.05 -3.03 -2.71
H 0.55 -0.45 -1.78
H 0.28 2.50 2.13
H 2.30 1.48 0.16
H 2.16 3.22 0.66
H -0.53 -2.43 -0.65
```

Values from the calculation:
- Frontier orbital gap: 8.359 eV
- ΔE to the lowest compared entry with this formula, charge and spin: 86.3 kcal per mole
- E_HOMO: -7.51 eV
- LUMO: 0.8 eV

Results of the Mulliken charge analysis, in e, for atoms 1 through 2:
1. O -0.58
2. N -0.54

=====

5.
C2H2IrLiO2 | ωB97M-V/def2-TZVPD

Structure (XYZ):
........

# Request
What is needed: start at the top of the lines above and set down each line, ending with the one that has "0.16".

# Completed
1.
H26O13 | ωB97M-V/def2-TZVPD

Structure (XYZ):
```
39
Properties=species:S:1:pos:R:3
O -2.95 -4.06 0.56
O 4.00 2.47 -1.96
O 3.19 3.30 1.19
O 2.61 -0.72 2.14
O -4.48 -0.21 0.68
O -0.02 4.62 1.00
O 1.59 -1.30 -1.62
O 3.75 -3.09 -0.29
O 0.49 -4.42 -0.79
O -4.17 3.73 -1.70
O -2.58 -0.40 -1.07
O -0.21 -0.02 -0.32
O -1.11 0.21 2.01
H -4.87 -0.14 1.56
H -3.32 -3.55 -0.17
H 3.78 3.57 0.48
H 0.55 0.06 0.26
H -0.37 5.18 0.30
H -2.70 -3.38 1.20
H 2.94 2.39 0.96
H 3.22 -0.88 2.88
H -2.15 -0.42 -1.93
H -3.97 -1.03 0.72
H -3.35 3.42 -2.12
H -1.25 -0.56 1.44
H 0.38 -4.58 0.15
H -3.87 4.30 -0.99
H 3.48 2.52 -1.15
H -0.79 4.13 1.31
H -1.48 -0.06 2.85
H 0.98 -0.75 -1.13
H 4.03 1.53 -2.16
H -0.41 -4.29 -1.11
H 2.79 -3.16 -0.31
H 4.06 -3.98 -0.53
H 2.44 -0.85 -1.54
H 3.09 -1.05 1.37
H -0.92 0.44 0.14
H -3.13 0.39 -1.09
```

Values from the calculation:
- Frontier orbital gap: 10.650 eV
- ΔE to the lowest compared entry with this formula, charge and spin: 78.9 kcal per mole
- E_HOMO: -10.95 eV
- LUMO: -0.3 eV

Results of the Mulliken charge analysis, in e, for atoms 1 through 2:
1. O -0.61
2. O -0.61

=====

2.
C7H12N2O3S | ωB97M-V/def2-TZVPD

Structure (XYZ):
```
25
Properties=species:S:1:pos:R:3
S -1.99 1.31 -0.13
O -2.41 1.30 1.25
O -2.96 0.93 -1.13
O -1.00 2.29 -0.54
N -1.54 -1.39 0.03
N 0.43 -0.56 -0.54
C -2.91 -1.50 0.35
C 1.37 0.53 -0.78
C 2.22 0.75 0.53
C 0.57 -1.95 -0.63
C 2.81 2.14 0.62
C -0.94 -0.25 -0.19
C -0.65 -2.43 -0.30
H 2.02 0.17 -1.47
H 3.04 0.01 0.48
H 0.74 1.38 -0.86
H -3.27 -0.66 0.94
H 3.43 2.28 1.51
H 3.52 2.23 -0.22
H -3.65 -1.76 -0.51
H 1.43 -2.49 -0.88
H 2.01 2.97 0.61
H -3.02 -2.44 0.97
H 1.56 0.65 1.29
H -0.81 -3.54 -0.40
```

Values from the calculation:
- Frontier orbital gap: 10.435 eV
- ΔE to the lowest compared entry with this formula, charge and spin: 49.3 kcal per mole
- E_HOMO: -9.91 eV
- LUMO: 0.5 eV

Results of the Mulliken charge analysis, in e, for atoms 1 through 2:
1. S 1.16
2. O -0.62

=====

3.
C6H10O | ωB97M-V/def2-TZVPD

Structure (XYZ):
```
17
Properties=species:S:1:pos:R:3
O -1.01 1.50 1.14
C -0.68 0.37 -1.18
C 0.46 -0.06 -0.20
C -1.20 -1.42 1.11
C 0.00 -1.27 0.55
C 1.97 0.03 -0.42
C -0.28 1.23 -0.02
H 0.30 2.08 -0.37
H -1.56 -2.38 1.46
H -0.60 0.82 -2.16
H 2.24 0.61 -1.31
H -1.79 1.99 0.88
H 2.43 -0.96 -0.53
H -1.87 -0.57 1.22
H 2.45 0.51 0.44
H -1.51 -0.34 -1.10
H 0.67 -2.13 0.49
```

Values from the calculation:
- Frontier orbital gap: 9.881 eV
- ΔE to the lowest compared entry with this formula, charge and spin: 38.9 kcal per mole
- E_HOMO: -8.98 eV
- LUMO: 0.9 eV

Results of the Mulliken charge analysis, in e, for atoms 1 through 2:
1. O -0.52
2. C -1.04

=====

4.
C4H13N3O | ωB97M-V/def2-TZVPD

Structure (XYZ):
```
21
Properties=species:S:1:pos:R:3
O -0.20 0.08 0.01
N -0.10 0.01 2.79
N 0.92 1.82 1.74
N -1.36 -2.26 -2.64
C -0.43 -0.32 -1.31
C -1.15 -1.72 -1.28
C 0.66 0.49 1.77
C 1.61 2.26 0.49
H -0.52 -2.50 -3.14
H -2.14 -1.65 -0.73
H -0.83 0.70 2.96
H 1.37 -0.24 1.36
H 0.92 2.50 -0.35
H -0.45 -0.85 2.41
H -1.01 0.39 -1.89
H -2.05 -3.03 -2.71
H 0.55 -0.45 -1.78
H 0.28 2.50 2.13
H 2.30 1.48 0.16